Do not receive any validation from the devil. When ungodly people praise you and flatter you, be wary. Be careful of those who use tantalizing prophecies to get into your pocket or your home.
Act 16:17-18 NET
She followed behind Paul and us and kept crying out, “These men are servants of the Most High God, who are proclaiming to you the way of salvation.” She continued to do this for many days. But Paul became greatly annoyed, and turned and said to the spirit, “I command you in the name of Jesus Christ to come out of her!” And it came out of her at once.
Dear Believer,
When God’s favor starts to manifest in your life in any way, one of the things you’ll have to deal with is flattery. It is a manifestation of the spirit of deception.
Let me state this clearly: your validation shouldn’t come from men or devils. Christ has given you a splendid identity. What He says about you is what really matters. If you aren’t satisfied with what God has said about you and need men’s accolades to boost your self esteem, you are suffering from a spiritual identity crisis.
Paul and Silas were trying to do ministry works in a region where people didn’t know Christ. A young lady was following them about and seemingly validating their ministry.
“These people are from God! They are here to show us the way of Salvation!”
This girl kept doing this for many days. It seemed Paul’s ministry was going to be easy in this place after all.
The problem was, the girl wasn’t a believer. In fact she was a demonized person who was speaking by the inspiration of the devil.
If Paul had not discerned this demonic activity and had allowed himself to get carried away with flatteries, he would have ended up in partnership with the devil before he realized it.
This girl wasn’t saying anything bad. But we know that whatever the devil says cannot have a good motive behind it. He is a liar.
This is exactly how deceiving spirits masquerading as prophetic gifts operate. They speak through false prophets, telling you pleasant and great things, some of which may sound true. If you open up yourself, they go further to plant all sorts of fear into you and bind you with their deception.
Next to the piece, the page also holds calculated crystals =
┌──
Entry 1:
Material: Tm6Te5Se
Method: DFT, PBE
State: optimized geometry

For the total magnetization, the calculation gives 0.00 μB per cell. The value obtained for the formation energy without anion corrections is -1.265 eV per atom. The total DFT energy (no corrections) is -5.100 eV/atom.

The space group is C2/m (No. 12) and the conventional cell measures 7.3831, 12.8383 and 7.3512 Å, with angles of 90.00, 109.40 and 90.00 degrees. The inequivalent atoms are Tm at (0.2175, 0.0000, 0.2586), Tm at (0.2237, 0.1514, 0.7264), Te at (0.0000, 0.1788, 0.0000), Te at (0.0000, 0.3373, 0.5000), Te at (0.0000, 0.5000, 0.0000) and Se at (0.0000, 0.0000, 0.5000).

***

Entry 2:
Material: CaSn3P4O14
Method: DFT, PBE
State: optimized geometry

For the total magnetization, the calculation gives 0.00 μB per cell. The value obtained for the formation energy without anion corrections is -2.079 eV per atom. The total DFT energy (no corrections) is -6.855 eV/atom.

The space group is P2_1/c (No. 14) and the conventional cell measures 8.6118, 7.5195 and 10.4640 Å, with angles of 90.00, 105.22 and 90.00 degrees. The inequivalent atoms are Ca at (0.0000, 0.0000, 0.0000), Sn at (0.2950, 0.1366, 0.4705), Sn at (0.5000, 0.0000, 0.0000), P at (0.0651, 0.0617, 0.6864), P at (0.3151, 0.7084, 0.1745), O at (0.1185, 0.0906, 0.8357), O at (0.1179, 0.5441, 0.8637), O at (0.1309, 0.2045, 0.6064), O at (0.1334, 0.6288, 0.1550), O at (0.2799, 0.6103, 0.6050), O at (0.3988, 0.5787, 0.0976) and O at (0.4030, 0.7110, 0.3202).

***

- Number 2 is which compound?
  CaSn3P4O14

* * * * *

(1)
Below is a relaxed structure of Pa2BiOs, with properties calculated at the PBE level.

- D(E_F): 20.78 states/eV per cell
- Formation energy: 13.5 kJ/mol of atoms
- Excess energy over the best structure of this formula in the dataset: 371 meV per atom
- Final energy: -8.386 eV per atom

Structure (CIF):
```
data_Pa2BiOs
_chemical_formula_sum 'Pa6 Bi3 Os3'
_cell_length_a 3.8344
_cell_length_b 3.8344
_cell_length_c 28.9439
_cell_angle_alpha 90.00
_cell_angle_beta 90.00
_cell_angle_gamma 120.00
_symmetry_space_group_name_H-M 'R -3 m'
_symmetry_Int_Tables_number 166
_symmetry_space_group_name_Hall '-R 3 2"'
loop_
_atom_site_label
_atom_site_fract_x
_atom_site_fract_y
_atom_site_fract_z
Pa1 0.0000 0.0000 0.1111
Bi1 0.0000 0.0000 0.0000
Os1 0.0000 0.0000 0.5000
```

---

(2)
Below is a relaxed structure of Pa3BiOs, with properties calculated at the PBE level.

- D(E_F): 19.03 states/eV per cell
- Formation energy: -0.5 kJ/mol of atoms
- Final energy: -8.725 eV per atom

Structure (CIF):
```
data_Pa3BiOs
_chemical_formula_sum 'Pa6 Bi2 Os2'
_cell_length_a 3.294
_cell_length_b 10.575
_cell_length_c 7.506
_cell_angle_alpha 90.00
_cell_angle_beta 102.61
_cell_angle_gamma 90.00
_symmetry_space_group_name_H-M 'P 1 21/m 1'
_symmetry_Int_Tables_number 11
loop_
_symmetry_equiv_pos_as_xyz
'x,y,z'
'-x,-y,-z'
'-x,y+1/2,-z'
'x,-y+1/2,z'
loop_
_atom_site_label
_atom_site_fract_x
_atom_site_fract_y
_atom_site_fract_z
└──
Do not receive any validation from the devil. When ungodly people praise you and flatter you, be wary. Be careful of those who use tantalizing prophecies to get into your pocket or your home.
I’ve seen people say all kinds of outlandish things about some ministers after experiencing a little power. “You are the only true man of God!” “Oh, you must be the end time prophet!”
I’ve seen some ministers employ special praise singers who make addulating commentaries as they preach or ‘prophesy.’
“Man of God, prophesy! You are the great prophet of our time,” these commentators would keep saying as the preacher walks around arrogantly on the platform. This is one of the quickest roads to spiritual and ministerial downfall.
Proverbs 29:5 NET
The one who flatters his neighbor spreads a net for his steps.
One of the greatest tools of hypocrites and pretenders is flattery. It is their trap.
********
Entry from Alexandria via LeMat-Bulk: an optimized crystal structure of LuI3O11 (PBE).

Raw formation energy in kJ/mol of atoms: -76.70
Magnetization in μB/atom: 0.13
Total DFT energy (no corrections) in eV/atom: -5.042

a b c (Å): 7.235 8.067 9.720
angles (deg): 75.93 84.13 69.53
Sites, in units of the cell vectors:
Lu (0.236, 0.127, 0.145)
Lu (0.764, 0.873, 0.855)
I (0.191, 0.776, 0.485)
I (0.247, 0.906, 0.847)
I (0.390, 0.348, 0.805)
I (0.610, 0.652, 0.195)
I (0.753, 0.094, 0.153)
I (0.809, 0.224, 0.515)
O (0.110, 0.748, 0.871)
O (0.114, 0.001, 0.352)
O (0.174, 0.368, 0.294)
O (0.200, 0.314, 0.941)
O (0.215, 0.935, 0.033)
O (0.225, 0.457, 0.658)
O (0.228, 0.321, 0.418)
O (0.350, 0.638, 0.368)
O (0.350, 0.821, 0.594)
O (0.479, 0.104, 0.793)
O (0.496, 0.247, 0.129)
O (0.504, 0.753, 0.871)
O (0.521, 0.896, 0.207)
O (0.650, 0.179, 0.406)
O (0.650, 0.362, 0.632)
O (0.772, 0.679, 0.582)
O (0.775, 0.543, 0.342)
O (0.785, 0.065, 0.967)
O (0.800, 0.686, 0.059)
O (0.826, 0.632, 0.706)
O (0.886, 0.999, 0.648)
O (0.890, 0.252, 0.129)

***

Entry from Alexandria via LeMat-Bulk: an optimized crystal structure of LuI3O9 (PBE).

Raw formation energy in kJ/mol of atoms: -96.35
Magnetization in μB/atom: 0.00
Total DFT energy (no corrections) in eV/atom: -5.137

a b c (Å): 8.737 6.274 16.647
angles (deg): 90.00 114.86 90.00
Sites, in units of the cell vectors:
Lu (0.154, 0.231, 0.112)
Lu (0.154, 0.269, 0.612)
Lu (0.846, 0.731, 0.388)
Lu (0.846, 0.769, 0.888)
I (0.069, 0.209, 0.361)
I (0.069, 0.291, 0.861)
I (0.347, 0.652, 0.515)
I (0.347, 0.848, 0.015)
I (0.413, 0.586, 0.801)
I (0.413, 0.914, 0.301)
I (0.587, 0.086, 0.699)
I (0.587, 0.414, 0.199)
I (0.653, 0.152, 0.985)
I (0.653, 0.348, 0.485)
I (0.931, 0.709, 0.139)
I (0.931, 0.791, 0.639)
O (0.073, 0.021, 0.684)
O (0.073, 0.479, 0.184)
O (0.096, 0.582, 0.671)
O (0.096, 0.918, 0.171)
O (0.116, 0.167, 0.476)
O (0.116, 0.333, 0.976)
O (0.117, 0.677, 0.467)
O (0.117, 0.823, 0.967)
O (0.336, 0.572, 0.888)
O (0.336, 0.928, 0.388)
O (0.348, 0.054, 0.935)
O (0.348, 0.446, 0.435)
O (0.350, 0.184, 0.257)
O (0.350, 0.316, 0.757)
O (0.360, 0.019, 0.108)
O (0.360, 0.481, 0.608)
O (0.363, 0.018, 0.634)
O (0.363, 0.482, 0.134)
O (0.637, 0.518, 0.866)
O (0.637, 0.982, 0.366)
O (0.640, 0.519, 0.392)
O (0.640, 0.981, 0.892)
O (0.650, 0.684, 0.243)
O (0.650, 0.816, 0.743)
O (0.652, 0.554, 0.565)
O (0.652, 0.946, 0.065)
O (0.664, 0.072, 0.612)
O (0.664, 0.428, 0.112)
O (0.883, 0.177, 0.033)
O (0.883, 0.323, 0.533)
O (0.884, 0.667, 0.024)
O (0.884, 0.833, 0.524)
O (0.904, 0.082, 0.829)
O (0.904, 0.418, 0.329)
O (0.927, 0.521, 0.816)
O (0.927, 0.979, 0.316)

***

Entry from Alexandria via LeMat-Bulk: an optimized crystal structure of Lu2OsI (PBE).

Raw formation energy in kJ/mol of atoms: -45.00
Magnetization in μB/atom: 0.00
Total DFT energy (no corrections) in eV/atom: -5.922

a b c (Å): 3.425 3.425 8.297
angles (deg): 90.00 90.00 90.00
Sites, in units of the cell vectors:
Lu (0.000, 0.000, 0.194)
Lu (0.000, 0.000, 0.806)
********
When you know who you are in Christ and you accept and believe what the Word of God says about you as a believer, you cannot fall victim of the devil’s ruses.
Satan told Jesus, “If you are the Son of God, turn this stone to bread.” Jesus knew He had nothing to prove to the devil, so he didn’t. He was not suffering from an identity crisis or insecurity.
If you know who you are in Christ, there’s no need to listen to the devil and his sycophants.
Colosians 2:10 KJV
And ye are complete in him, which is the head of all principality and power.
You are complete in Christ. If you seek completeness in anything outside of Him, you are looking for light in the darkness.
Your day is blessed, in the name of Jesus.
Your friend,
Deon Akintomide is a Pastor, author and publisher. He teaches the Word of God and ministers healing to the body and the mind. He is the founding minister of the LifeHouse Global Missions and the Pastor of The LifeHouse Kingdom Centre in Lagos. Deon is married to Tola Akintomide.